The hanged man as feelings/attraction


Hey there, the hanged man has been a card that always confuses me especially in relation feelings or attraction. I know the hanged man is about surrendering yourself and I've seen this before as 'surrendering to the feelings you have for someone' or it can sometimes mean a person just will not make a move and stay at the same place they are with a person. In terms of attraction I'm not sure if the hanged man is a positive card or not, again the idea of 'surrendering' to someone comes to mind. I've heard people say the hanged man is suffering in this position however in my cards the hanged man looks quite content and peaceful and is just hanging there without a care, ( the deck I use most is the Sharman-Caselli card deck and all the imagery is quite light even in cards like 3 of swords)

So I was wondering what everyone's interpretation would be of the hanged man in this context and what the negatives are and so on.


As feelings or attraction, the Hanged Man could indicate that one's feelings leave them off balance or in an unfamiliar or uncomfortable position. Based on your description of your deck's imagery, it's possible that they enjoy being in this uncomfortable position.

********
1.
Density functional theory data (PBE-GGA) for an optimized crystal structure of Ac3NdRh.

Cell: 5.858 5.858 5.858 Å, 90.00 90.00 90.00°
Atoms (fractional coordinates):
1 Ac 0.000 0.000 0.500
2 Ac 0.000 0.500 0.000
3 Ac 0.500 0.000 0.000
4 Nd 0.500 0.500 0.500
5 Rh 0.000 0.000 0.000

## Properties
- SG: Pm-3m
- Crystal system: cubic
- Offset from the most stable computed form: 111 meV/atom
- DFT formation energy: -18.1 kJ per mole of atoms
- Total magnetic moment: 1.385 Bohr magnetons per cell

***

2.
Density functional theory data (PBE-GGA) for an optimized crystal structure of Ti3WCl.

Cell: 4.875 4.875 4.875 Å, 90.00 90.00 90.00°
Atoms (fractional coordinates):
1 Ti 0.000 0.000 0.500
2 Ti 0.000 0.500 0.000
3 Ti 0.500 0.000 0.000
4 W 0.000 0.000 0.000
5 Cl 0.500 0.500 0.500

## Properties
- SG: Pm-3m
- Crystal system: cubic
- Raw formation energy: 0.950 eV/atom
- Offset from the most stable computed form: 639 meV/atom
- Total magnetic moment: 0.000 Bohr magnetons per cell

***

3.
Density functional theory data (PBE-GGA) for an optimized crystal structure of CeNbCoP2.

Cell: 6.529 6.529 6.529 Å, 145.98 145.98 48.88°
Atoms (fractional coordinates):
1 Ce 0.000 0.000 0.000
2 Nb 0.250 0.750 0.500
3 Co 0.750 0.250 0.500
4 P 0.377 0.377 0.000
5 P 0.623 0.623 0.000

## Properties
- SG: I-4m2
- Crystal system: tetragonal
- DFT formation energy: -81.4 kJ per mole of atoms
- Total magnetic moment: 1.456 Bohr magnetons per cell

***

4.
Density functional theory data (PBE-GGA) for an optimized crystal structure of ZrCd2As.

Cell: 3.947 3.947 5.556 Å, 90.00 90.00 90.00°
Atoms (fractional coordinates):
1 Zr 0.000 0.000 0.000
2 Cd 0.500 0.500 0.251
3 Cd 0.500 0.500 0.749
4 As 0.000 0.000 0.500

## Properties
- SG: P4/mmm
- Crystal system: tetragonal
- DFT formation energy: -6.2 kJ per mole of atoms
- Total magnetic moment: 0.000 Bohr magnetons per cell

***

5.
Density functional theory data (PBE-GGA) for an optimized crystal structure of CsNa3Y.

Cell: 6.792 6.792 6.792 Å, 90.00 90.00 90.00°
Atoms (fractional coordinates):
1 Cs 0.000 0.000 0.000
2 Na 0.000 0.500 0.500
3 Na 0.500 0.000 0.500
4 Na 0.500 0.500 0.000
5 Y 0.500 0.500 0.500

## Properties
- SG: Pm-3m
- Crystal system: cubic
- Offset from the most stable computed form: 0 meV/atom
- DFT formation energy: 59.2 kJ per mole of atoms
- Total magnetic moment: 0.000 Bohr magnetons per cell

***

6.
Density functional theory data (PBE-GGA) for an optimized crystal structure of KNa3Li.

Cell: 8.450 5.503 9.241 Å, 90.00 109.67 90.00°
Atoms (fractional coordinates):
1 K 0.162 0.250 0.202
2 K 0.838 0.750 0.798
3 Na 0.180 0.250 0.800
4 Na 0.180 0.750 0.548
5 Na 0.499 0.250 0.660
6 Na 0.501 0.750 0.340
7 Na 0.820 0.250 0.452
8 Na 0.820 0.750 0.200
9 Li 0.418 0.750 0.932
10 Li 0.582 0.250 0.068

## Properties
- SG: P2_1/m
- Crystal system: monoclinic
- Offset from the most stable computed form: 0 meV/atom
- DFT formation energy: 5.7 kJ per mole of atoms
- Total magnetic moment: 0.000 Bohr magnetons per cell
********
End of the data records.

Or it could mean that they feel like they've been left to hang out to dry if they believe their feelings haven't been returned.

The Hanged Man is a Water card, so it's also possible that the card is showing that the person in question is taking their time to immerse themselves in their feelings for the Querent to better determine exactly what their feelings are.

There is no cut and dried, one-size-fits-all answer. This is tarot, after all.



As feelings or attraction, the Hanged Man could indicate that one's feelings leave them off balance or in an unfamiliar or uncomfortable position. Based on your description of your deck's imagery, it's possible that they enjoy being in this uncomfortable position.

Or it could mean that they feel like they've been left to hang out to dry if they believe their feelings haven't been returned.

The Hanged Man is a Water card, so it's also possible that the card is showing that the person in question is taking their time to immerse themselves in their feelings for the Querent to better determine exactly what their feelings are.

There is no cut and dried, one-size-fits-all answer. This is tarot, after all.


Makes a lot of sense, I have been getting this card recently in feelings/attractions positions for a person I like. The interpretation you made about "feeling like they've been left to hang out to dry" sticks out the most for me. I have a hard time showing people I like them and don't give away much and people never catch on to the fact I like them because of this. I usually get this card a lot when I ask about a guys feelings or attraction for me.i can definitely see your interpretation of taking time to immerse in their feelings also. Thank you very much.


I have had the hanged man for "capitulation" in love once, but it was with other cards that was pointing out what has happened.

Queen of Wands was before the Hanged Man and the outcome was 6 of wands = meaning that the guy was very satisfied with the capitulation and felt like a winner after it. The Hanged Man was symbolising the emotional release after the encounter with QoW and 6oW the feelings that came after the release.

Just some input!

Ps. The couple was older, like 50-55 years or so, they were both mature. Everything is context....